Input.
+++
# 1
# Ta2MnFe

A geometry-optimized Ta2MnFe structure (PBE, Alexandria via LeMat-Bulk).

Unit cell a=3.270 b=4.487 c=8.041 alpha=90.00 beta=90.00 gamma=90.00
Positions (direct):
Ta (0.000, 0.000, 0.249)
Ta (0.000, 0.000, 0.751)
Ta (0.500, 0.500, 0.251)
Ta (0.500, 0.500, 0.749)
Mn (0.000, 0.500, 0.500)
Mn (0.500, 0.000, 0.000)
Fe (0.000, 0.500, 0.000)
Fe (0.500, 0.000, 0.500)

DOS at the Fermi energy = 8.132 states/eV per cell
total energy = -10.28 eV per atom

---

# 2
# Ta2Mn4Fe5

A geometry-optimized Ta2Mn4Fe5 structure (PBE, Alexandria via LeMat-Bulk).

Unit cell a=8.465 b=7.861 c=4.640 alpha=80.80 beta=66.45 gamma=32.75
Positions (direct):
Ta (0.108, 0.108, 0.892)
Ta (0.892, 0.892, 0.108)
Mn (0.221, 0.509, 0.491)
Mn (0.491, 0.779, 0.221)
Mn (0.509, 0.221, 0.779)
Mn (0.779, 0.491, 0.509)
Fe (0.000, 0.000, 0.500)
Fe (0.250, 0.250, 0.250)
Fe (0.500, 0.500, 0.000)
Fe (0.500, 0.500, 0.500)
Fe (0.750, 0.750, 0.750)

DOS at the Fermi energy = 13.148 states/eV per cell
total energy = -9.10 eV per atom

---

# 3
# Ta2MnFe

A geometry-optimized Ta2MnFe structure (PBE, Alexandria via LeMat-Bulk).

Unit cell a=2.981 b=2.981 c=23.467 alpha=90.00 beta=90.00 gamma=120.00
Positions (direct):
Ta (0.000, 0.000, 0.249)
Ta (0.000, 0.000, 0.751)
Ta (0.333, 0.667, 0.417)
Ta (0.333, 0.667, 0.916)
Ta (0.667, 0.333, 0.084)
Ta (0.667, 0.333, 0.583)
Mn (0.000, 0.000, 0.500)
Mn (0.333, 0.667, 0.167)
Mn (0.667, 0.333, 0.833)
Fe (0.000, 0.000, 0.000)
Fe (0.333, 0.667, 0.667)
Fe (0.667, 0.333, 0.333)

DOS at the Fermi energy = 8.325 states/eV per cell
total energy = -10.11 eV per atom

---

# 4
# Ta2MnFe

A geometry-optimized Ta2MnFe structure (PBE, Alexandria via LeMat-Bulk).

Unit cell a=3.277 b=4.031 c=4.476 alpha=90.00 beta=90.00 gamma=90.00
Positions (direct):
Ta (0.000, 0.000, 0.000)
Ta (0.500, 0.000, 0.500)
Mn (0.000, 0.500, 0.500)
Fe (0.500, 0.500, 0.000)

DOS at the Fermi energy = 3.613 states/eV per cell
total energy = -10.28 eV per atom

---

# 5
# Ta2MnFe

A geometry-optimized Ta2MnFe structure (PBE, Alexandria via LeMat-Bulk).

Unit cell a=6.835 b=6.835 c=5.400 alpha=90.00 beta=90.00 gamma=90.00
Positions (direct):
Ta (0.236, 0.750, 0.125)
Ta (0.250, 0.236, 0.875)
Ta (0.250, 0.264, 0.375)
Ta (0.264, 0.750, 0.625)
Ta (0.736, 0.250, 0.625)
Ta (0.750, 0.736, 0.375)
Ta (0.750, 0.764, 0.875)
Ta (0.764, 0.250, 0.125)
Mn (0.000, 0.000, 0.500)
Mn (0.000, 0.500, 0.750)
Mn (0.500, 0.000, 0.250)
Mn (0.500, 0.500, 0.000)
Fe (0.000, 0.000, 0.000)
Fe (0.000, 0.500, 0.250)
Fe (0.500, 0.000, 0.750)
Fe (0.500, 0.500, 0.500)

DOS at the Fermi energy = 21.145 states/eV per cell
total energy = -9.81 eV per atom

---

# 6
# TaMnFe2

A geometry-optimized TaMnFe2 structure (PBE, Alexandria via LeMat-Bulk).

Unit cell a=3.017 b=3.017 c=5.671 alpha=90.00 beta=90.00 gamma=90.00
Positions (direct):
Ta (0.000, 0.000, 0.000)
Mn (0.000, 0.000, 0.500)
Fe (0.500, 0.500, 0.263)
Fe (0.500, 0.500, 0.737)

DOS at the Fermi energy = 4.107 states/eV per cell
total energy = -9.50 eV per atom

---
+++

Job.
Work out how many lines above have the word "alpha" in them; a number is enough.

Outcome.
6